A Growl-to-English Dictionary

Use Your Words “Oh my god! You’re here. In a grocery store. Shopping,” Stiles cackled with glee. Derek was instantly annoyed, “I do eat you know.” “Yeah, but I always assumed you just hunted down Thumper or whatever,” Stiles waved a hand. Derek rolled his eyes. He was pretty sure that Scott and Stiles would never see him as an actual person. With feelings. He just turned to walk away....

A Victory March

When Stiles is eight he learns that nothing will be the same. It isn’t because his mom dies. (Although it changes everything, it’s still mundane. A terrible and boring tragedy.) His dad comes home one day after work and sits Stiles down for a talk. He explains that werewolves and all the monsters are real. They’re real and not hiding under anyone’s bed anymore. That they aren’t really monsters but nice people like the Hales....

Dare and Mischief's Epically Awesome Road Trip of Fun

The night of the winter formal is chaotic. A lot of stuff goes down. Lydia is attacked by Peter Hale. Derek is rescued from being tortured by Kate Argent. Who is subsequently killed by Peter. Who is then killed by Scott, proving an old myth true by becoming human again. Just like he wanted. Amidst all of this, Peter Hale asks Stiles Stilinski if he wants the bite in a parking garage....

Good Father (Unforgiven, part 2/2)

It’s only been a few weeks since the nogitsune was given its eviction notice when Stiles shows up at Derek’s door clutching his pillow. Stiles knocks. It’s the first time he’s ever knocked when he knew Derek was home. To Derek, this is, perhaps, one of the biggest signs of how deeply the possession has impacted Stiles. In the past, Stiles never once hesitated to barge in, regardless of how Derek felt about it....


Friday When he’d been growing up, Stiles had imagined all sorts of exciting futures. He’d be a cop, like his dad, and be a hero. Or he’d be a scientist who discovered the cure for cancer. Instead… He worked as a data entry clerk. For a tiny wage. But he had benefits, at least. He spent day after day stuffed into a cubicle interacting with almost no one. His life was sad and lonely....

Might be a Predator

Derek was almost to Beacon Hills when the bond to his alpha snapped. So. Some wolf killed his sister and alpha. Stole her spark. This wasn’t something Derek was willing to accept. It takes Derek a few days too long to situate himself. By the time he’s ready to get started, the police have already found half his sister’s body and the new alpha has bitten some kid. He doesn’t care much about the new beta beyond the fact that he might be a way to track the alpha....

## Next to the text, the page also holds data records
+++
Record 1
This entry pairs a crystal structure of SrHg3 with its computed X-ray powder pattern. Radiation: Cu Kα, 1.54184 Å. Structure: the PBE geometry in the Materials Project.
Intensities are scaled so that the largest is 1000.

a = 6.7906 Å, b = 9.9312 Å, c = 6.8670 Å
α = 90.00°, β = 90.00°, γ = 90.00°
Atoms (fractional coordinates):
Sr  0.0089  0.2500  0.0331
Sr  0.4911  0.7500  0.5331
Sr  0.5089  0.2500  0.4669
Sr  0.9911  0.7500  0.9669
Hg  0.0130  0.2500  0.5284
Hg  0.2324  0.5098  0.2696
Hg  0.2324  0.9902  0.2696
Hg  0.2676  0.0098  0.7696
Hg  0.2676  0.4902  0.7696
Hg  0.4870  0.7500  0.0284
Hg  0.5130  0.2500  0.9716
Hg  0.7324  0.5098  0.2304
Hg  0.7324  0.9902  0.2304
Hg  0.7676  0.0098  0.7304
Hg  0.7676  0.4902  0.7304
Hg  0.9870  0.7500  0.4716

Top 8 peaks for 10° ≤ 2θ ≤ 90°, in order of rising 2θ:
2θ/deg  intensity
31.68  963
31.93  1000
36.18  364
37.24  610
52.90  434
62.42  166
63.55  192
63.99  231

=====

Record 2
This entry pairs a crystal structure of SrHg11 with its computed X-ray powder pattern. Radiation: Cu Kα, 1.54184 Å. Structure: the PBE geometry in the Materials Project.
Intensities are scaled so that the largest is 1000.

a = 10.1427 Å, b = 10.1427 Å, c = 10.1427 Å
α = 90.00°, β = 90.00°, γ = 90.00°
Atoms (fractional coordinates):
Sr  0.0000  0.0000  0.5000
Sr  0.0000  0.5000  0.0000
Sr  0.5000  0.0000  0.0000
Hg  0.0000  0.3416  0.3416
Hg  0.0000  0.3416  0.6584
Hg  0.0000  0.6584  0.3416
Hg  0.0000  0.6584  0.6584
Hg  0.1527  0.1527  0.1527
Hg  0.1527  0.1527  0.8473
Hg  0.1527  0.8473  0.1527
Hg  0.1527  0.8473  0.8473
Hg  0.2623  0.2623  0.5000
Hg  0.2623  0.5000  0.2623
Hg  0.2623  0.5000  0.7377
Hg  0.2623  0.7377  0.5000
Hg  0.3416  0.0000  0.3416
Hg  0.3416  0.0000  0.6584
Hg  0.3416  0.3416  0.0000
Hg  0.3416  0.6584  0.0000
Hg  0.5000  0.2623  0.2623
Hg  0.5000  0.2623  0.7377
Hg  0.5000  0.5000  0.5000
Hg  0.5000  0.7377  0.2623
Hg  0.5000  0.7377  0.7377
Hg  0.6584  0.0000  0.3416
Hg  0.6584  0.0000  0.6584
Hg  0.6584  0.3416  0.0000
Hg  0.6584  0.6584  0.0000
Hg  0.7377  0.2623  0.5000
Hg  0.7377  0.5000  0.2623
Hg  0.7377  0.5000  0.7377
Hg  0.7377  0.7377  0.5000
Hg  0.8473  0.1527  0.1527
Hg  0.8473  0.1527  0.8473
Hg  0.8473  0.8473  0.1527
Hg  0.8473  0.8473  0.8473

Top 8 peaks for 10° ≤ 2θ ≤ 90°, in order of rising 2θ:
2θ/deg  intensity
29.20  469
30.53  556
31.81  278
36.53  1000
37.63  689
40.77  387
58.25  385
67.91  324

=====

Record 3
This entry pairs a crystal structure of SrHg3 with its computed X-ray powder pattern. Radiation: Cu Kα, 1.54184 Å. Structure: the PBE geometry in the Materials Project.
Intensities are scaled so that the largest is 1000.

a = 5.5140 Å, b = 7.0563 Å, c = 5.8307 Å
α = 90.00°, β = 90.00°, γ = 90.00°
Atoms (fractional coordinates):
Sr  0.2500  0.2500  0.1548
Sr  0.7500  0.7500  0.8452
Hg  0.2500  0.5042  0.6632
Hg  0.2500  0.7500  0.1911
Hg  0.2500  0.9958  0.6632
Hg  0.7500  0.0042  0.3368
Hg  0.7500  0.2500  0.8089
Hg  0.7500  0.4958  0.3368
+++

Not Like the Other

Prologue It wasn’t until the Great Pack Schism that Stiles realized that he didn’t understand werewolves nearly as well as he thought. It’s probably because he has two alphas to compare, when before he’d only had Peter and Derek to compare. And despite how not great Derek was at the whole alpha thing, he looked like a saint next to Peter. Then the whole alpha pack mess started, Scott is suddenly the True Alpha, and werewolves were choosing sides....

Open Your Eyes (Unforgiven, part 1/2)

“How’s Stiles doing? He out of the hospital yet?” Parrish asks him. Noah is taken aback, because as far as he knows, Stiles isn’t in the hospital. He clears his throat, “Yeah, he’s doing better.” A vague answer because Noah doesn’t want to make it look like he doesn’t know. Especially if Stiles actually is in the hospital. Parrish smiles and nods. Noah goes straight to the hospital. He tracks down Melissa and before he can say anything, she asks, “Are you here to see Stiles?...

• Unrelated to this entry: data records:
+++
Record 1
Starting from a crystal structure in the Materials Project, relaxed with GGA+U, the X-ray powder pattern of Ni2P5O16 was computed for λ = 1.5418 Å (Cu Kα).

Crystal structure
```
46
Lattice="5.0253 0.0000 0.0000 0.0000 6.7577 0.0000 -0.2040 0.0000 18.8512" Properties=species:S:1:pos:R:3 pbc="T T T"
Ni 1.1376 1.2183 7.6639
Ni 1.0357 5.5394 17.0895
Ni 3.7856 1.2183 1.7617
Ni 3.6837 5.5394 11.1873
P -0.0510 1.7157 4.7128
P -0.1530 5.0420 14.1384
P 1.0930 0.9058 10.8532
P 1.1950 5.8519 1.4276
P 1.3063 3.0672 2.4701
P 1.2044 3.6905 11.8957
P 3.6169 3.0672 6.9555
P 3.5149 3.6905 16.3811
P 3.6263 0.9058 17.4236
P 3.7283 5.8519 7.9980
O 0.0465 0.3996 17.5370
O 0.1484 6.3581 8.1114
O 0.3537 2.3745 1.5279
O 0.2518 4.3832 10.9535
O 0.7024 0.9223 5.7402
O 0.6004 5.8354 15.1658
O 0.9664 2.7415 4.0041
O 0.8644 4.0161 13.4297
O 0.9699 2.1161 11.9255
O 1.0719 4.6416 2.5000
O 1.6196 1.5017 9.5514
O 1.7215 5.2559 0.1258
O 2.1411 0.0991 2.0701
O 2.0391 6.6586 11.4957
O 2.1401 2.8357 7.1717
O 2.0381 3.9219 16.5973
O 2.7832 2.8357 2.2539
O 2.6812 3.9219 11.6795
O 2.7822 0.0991 7.3555
O 2.6802 6.6586 16.7811
O 3.0998 1.5017 18.7254
O 3.2017 5.2559 9.2998
O 3.7494 2.1161 16.3512
O 3.8514 4.6416 6.9256
O 3.9569 2.7415 5.4215
O 3.8549 4.0161 14.8471
O 4.2209 0.9223 3.6854
O 4.1189 5.8354 13.1109
O 4.5695 2.3745 7.8977
O 4.4676 4.3832 17.3233
O 4.6729 0.3996 10.7398
O 4.7748 6.3581 1.3142
```

Top 12 peaks for 10° ≤ 2θ ≤ 90°, in order of rising 2θ:
2θ = 13.9°, d 6.361, I = 87; 2θ = 16.1°, d 5.492, I = 25; 2θ = 18.8°, d 4.713, I = 54; 2θ = 22.5°, d 3.947, I = 100; 2θ = 23.9°, d 3.719, I = 14; 2θ = 24.1°, d 3.696, I = 16; 2θ = 28.4°, d 3.142, I = 24; 2θ = 32.3°, d 2.774, I = 35; 2θ = 32.6°, d 2.743, I = 21; 2θ = 33.3°, d 2.692, I = 14; 2θ = 35.7°, d 2.513, I = 12; 2θ = 40.0°, d 2.255, I = 11


Record 2
Starting from a crystal structure in the Materials Project, relaxed with GGA+U, the X-ray powder pattern of VF5 was computed for λ = 1.5418 Å (Cu Kα).

Crystal structure
```
48
Lattice="7.7485 0.0000 0.0000 0.0000 5.5259 0.0000 0.0000 0.0000 17.4041" Properties=species:S:1:pos:R:3 pbc="T T T"
V 0.3605 1.3815 2.4506
V 0.8445 1.3815 10.7716
V 3.0298 4.1444 2.0696
V 3.5137 4.1444 11.1527
V 4.2348 1.3815 6.2514
V 4.7187 1.3815 15.3345
V 6.9041 4.1444 6.6325
V 7.3880 4.1444 14.9535
F 0.1863 2.8592 7.2030
F 0.1863 5.4296 7.2030
F 0.2456 1.3815 12.4305
F 0.2779 1.3815 4.2132
F 0.7876 2.8593 15.2028
F 0.7876 5.4295 15.2028
F 1.0102 1.3815 0.8071
F 1.7737 5.5240 2.7815
F 1.7737 2.7648 2.7815
F 1.9269 1.3815 9.3725
F 1.9474 4.1444 0.6704
F 2.1005 0.0019 11.4836
F 2.1005 2.7611 11.4836
F 2.8641 4.1444 9.5092
F 3.0867 0.0964 6.5007
F 3.0867 2.6666 6.5007
F 3.5964 4.1444 12.9152
F 3.6287 4.1444 3.7284
F 3.6880 0.0963 15.9050
F 3.6880 2.6667 15.9050
F 4.0606 2.8592 1.4991
F 4.0606 5.4296 1.4991
F 4.1198 1.3815 13.6757
F 4.1521 1.3815 4.4889
F 4.6619 2.8593 10.9034
F 4.6619 5.4295 10.9034
F 4.8845 1.3815 7.8949
F 5.6480 5.5240 5.9206
F 5.6480 2.7648 5.9206
F 5.8012 1.3815 16.7337
+++

Rabbit Stew

It started with a very bloody and very dead rabbit on his front step. It said something about Stiles’ life choices that the sight of something that might’ve once made him throw up, just set off a low current of dread in his stomach. Hard to be super grossed out by a dead rabbit when you’ve been on the verge of cutting someone’s arm off. Or seen that same person gutted on his feral uncle’s claws....

The Worst Thing About Werewolves

Perhaps the worst thing about werewolves was their love of nature. Stiles? Did not love nature. He didn’t like the bugs, the lack of plumbing, and he especially didn’t like the lack of wifi. However, because the pack was mostly werewolves, they’d decided that they needed to go camping – as a pack. Stiles didn’t get it because they could run around as they pleased in the preserve while he stayed near toilets and wifi....